• What to do:
Your job: find "0.352 0.645" and "0.422 0.001" in the entries further below, and echo these two lines and those between.
• Contents:
- - -
No. 1
This entry pairs a crystal structure of FeSb4O12 with its theoretical XRD peak list. Radiation: Cu Ka. Structure: the PBE+U geometry in the Materials Project.
Neutral-atom scattering factors, no anomalous dispersion.

Top 6 peaks for 2θ from 10° to 80°, in order of falling intensity:
Position (°2θ)	Rel. int.
23.72	100
32.73	71
23.58	49
34.65	34
53.32	25
42.43	22

Structure:
a b c (Å): 5.159 5.482 7.572
angles (deg): 85.32 89.95 89.94
Sites, in units of the cell vectors:
Fe 0.000 0.000 0.000
Sb 0.004 0.592 0.783
Sb 0.493 0.112 0.297
Sb 0.500 0.113 0.777
Sb 0.990 0.592 0.306
O 0.105 0.643 0.045
O 0.170 0.931 0.756
O 0.178 0.285 0.364
O 0.307 0.793 0.359
O 0.330 0.433 0.728
O 0.354 0.117 0.039
O 0.638 0.101 0.539
O 0.678 0.422 0.227
O 0.713 0.818 0.868
O 0.812 0.924 0.225
O 0.818 0.283 0.871
O 0.853 0.604 0.547

No. 2
This entry pairs a crystal structure of Fe13Si2Sb2O28 with its theoretical XRD peak list. Radiation: Cu Ka. Structure: the PBE+U geometry in the Materials Project.
Neutral-atom scattering factors, no anomalous dispersion.

Top 6 peaks for 2θ from 10° to 80°, in order of falling intensity:
Position (°2θ)	Rel. int.
30.59	100
10.09	86
36.42	76
15.52	75
30.40	56
32.57	51

Structure:
a b c (Å): 5.646 8.968 11.582
angles (deg): 84.45 81.12 78.54
Sites, in units of the cell vectors:
Fe 0.000 0.000 0.000
Fe 0.069 0.341 0.304
Fe 0.226 0.653 0.165
Fe 0.245 0.066 0.450
Fe 0.331 0.380 0.724
Fe 0.336 0.661 0.869
Fe 0.442 0.988 0.147
Fe 0.558 0.012 0.853
Fe 0.664 0.339 0.131
Fe 0.669 0.620 0.276
Fe 0.755 0.934 0.550
Fe 0.774 0.347 0.835
Fe 0.931 0.659 0.696
Si 0.225 0.311 0.009
Si 0.775 0.689 0.991
Sb 0.113 0.020 0.718
Sb 0.887 0.980 0.282
O 0.002 0.561 0.288
O 0.056 0.899 0.419
O 0.071 0.647 0.999
O 0.133 0.125 0.274
O 0.139 0.883 0.152
O 0.207 0.290 0.433
O 0.264 0.886 0.852
O 0.273 0.611 0.725
O 0.300 0.124 0.007
O 0.306 0.368 0.129
O 0.327 0.166 0.750
O 0.359 0.641 0.322
O 0.386 0.950 0.594
O 0.387 0.396 0.899
O 0.613 0.604 0.101
O 0.614 0.050 0.406
O 0.641 0.359 0.678
O 0.673 0.834 0.250
O 0.694 0.632 0.871
O 0.700 0.876 0.993
O 0.727 0.389 0.275
O 0.736 0.114 0.148
O 0.793 0.710 0.567
O 0.861 0.117 0.848
O 0.867 0.875 0.726
O 0.929 0.353 0.001
O 0.944 0.101 0.581
O 0.998 0.439 0.712

No. 3
This entry pairs a crystal structure of Fe13Si2Sb2O28 with its theoretical XRD peak list. Radiation: Cu Ka. Structure: the PBE+U geometry in the Materials Project.
Neutral-atom scattering factors, no anomalous dispersion.

Top 6 peaks for 2θ from 10° to 80°, in order of falling intensity:
Position (°2θ)	Rel. int.
31.06	100
35.13	72
10.24	55
26.45	50
20.57	45
32.50	44

Structure:
a b c (Å): 5.624 8.812 11.492
angles (deg): 87.20 75.96 78.52
Sites, in units of the cell vectors:
Fe 0.000 0.000 0.000
Fe 0.035 0.364 0.321
Fe 0.206 0.644 0.153
Fe 0.284 0.995 0.437
Fe 0.352 0.645 0.854
Fe 0.361 0.361 0.682
Fe 0.422 0.001 0.150
Fe 0.578 0.999 0.850
Fe 0.639 0.639 0.318
Fe 0.648 0.355 0.146
Fe 0.716 0.005 0.563
Fe 0.794 0.356 0.847
Fe 0.965 0.636 0.679
Si 0.233 0.314 0.001
Si 0.767 0.686 0.999
Sb 0.145 0.999 0.711
Sb 0.855 0.001 0.289
O 0.008 0.100 0.577
O 0.012 0.414 0.702
O 0.070 0.644 0.992
O 0.115 0.886 0.155
O 0.119 0.135 0.289
O 0.214 0.351 0.418
O 0.279 0.875 0.844
O 0.298 0.593 0.709
O 0.304 0.123 0.999
O 0.307 0.378 0.120
O 0.371 0.653 0.421
O 0.404 0.385 0.880
O 0.412 0.130 0.713
O 0.420 0.896 0.578
O 0.580 0.104 0.422
O 0.588 0.870 0.287
O 0.596 0.615 0.120
O 0.629 0.347 0.579
O 0.693 0.622 0.880
O 0.696 0.877 0.001
O 0.702 0.407 0.291
O 0.721 0.125 0.156
O 0.786 0.649 0.582
O 0.881 0.865 0.711
O 0.885 0.114 0.845
O 0.930 0.356 0.008
O 0.988 0.586 0.298
O 0.992 0.900 0.423

No. 4
This entry pairs a crystal structure of Sr2FeSbO6 with its theoretical XRD peak list. Radiation: Cu Ka. Structure: the PBE+U geometry in the Materials Project.
Neutral-atom scattering factors, no anomalous dispersion.

Top 6 peaks for 2θ from 10° to 80°, in order of falling intensity:
Position (°2θ)	Rel. int.
31.58	100
45.11	27
56.23	24
31.38	19
65.94	19
- - -
• Outcome:
Fe 0.352 0.645 0.854
Fe 0.361 0.361 0.682
Fe 0.422 0.001 0.150